Messages - Page 2

Published Feb. 18, 2013 10:37 AM

Correction to the corrections! On Ark 2 problem 19b, the integer n must be bigger than 3.


Published Feb. 14, 2013 1:41 PM

What comes next are records of crystals, not part of the article
........
[1]
Structure and computed XRD peak list of MnFe3Sb2P6O24 (a crystal structure in the Materials Project, relaxed with GGA+U; Cu Kα X-rays).

Main lines, sorted by position (2θ = 15–90°):
d/Å	I_rel
4.353	100.0
3.739	59.9
3.565	25.5
2.798	93.9
2.513	37.9
1.975	27.0
1.870	33.5
1.500	24.8

```
36
Lattice="4.3531 2.5133 7.3041 -4.3531 2.5133 7.3041 0.0000 -5.0265 7.3041" Properties=species:S:1:pos:R:3 pbc="T T T"
Mn 0.0000 0.0000 0.0000
Fe 0.0000 0.0000 4.4407
Fe 0.0000 0.0000 10.9713
Fe 0.0000 0.0000 15.3975
Sb 0.0000 0.0000 7.7053
Sb 0.0000 0.0000 18.6462
P -1.2644 -2.8302 9.5397
P -2.5246 0.0062 13.1869
P -1.8188 2.5101 9.5397
P 1.2569 -2.1895 13.1869
P 3.0832 0.3201 9.5398
P 1.2677 2.1833 13.1869
O -0.8168 -3.4885 8.2405
O -1.5209 -0.1690 5.9275
O -3.4397 -1.2659 13.1248
O -0.8922 -3.5807 10.8199
O -2.6127 2.4517 8.2405
O -0.6287 -1.3917 9.5093
O 0.9068 -1.2327 5.9275
O -1.6937 -0.0415 11.9040
O -2.6549 2.5630 10.8199
O -0.8909 1.2403 9.5093
O 0.6141 1.4017 5.9275
O -1.6967 0.0512 14.4712
O 0.8828 -1.4460 11.9040
O -0.8966 -1.2387 16.8918
O 1.5196 0.1514 9.5093
O 0.8040 -1.4950 14.4712
O 0.8109 1.4875 11.9040
O 2.8162 -2.3459 13.1248
O -0.6244 1.3958 16.8918
O 3.4296 1.0369 8.2405
O 0.8927 1.4438 14.4712
O 0.6235 3.6119 13.1248
O 1.5210 -0.1571 16.8918
O 3.5471 1.0177 10.8199
```



[2]
Structure and computed XRD peak list of Cu6NiO6 (a crystal structure in the Materials Project, relaxed with GGA+U; Cu Kα X-rays).

Main lines, sorted by position (2θ = 15–90°):
d/Å	I_rel
4.745	24.1
2.906	19.0
2.478	8.2
2.373	95.0
2.055	100.0
1.453	56.8
1.239	35.2
1.186	17.7

```
13
Lattice="0.0000 4.1094 4.1094 4.1094 0.0000 4.1094 4.1094 4.1094 0.0000" Properties=species:S:1:pos:R:3 pbc="T T T"
Cu 2.0547 2.0547 0.0000
Cu 2.0547 0.0000 2.0547
Cu 4.1094 2.0547 2.0547
Cu 0.0000 2.0547 2.0547
Cu 2.0547 4.1094 2.0547
Cu 2.0547 2.0547 4.1094
Ni 0.0000 0.0000 0.0000
O 4.1094 4.1094 1.9006
O 4.1094 1.9006 4.1094
O 6.3183 4.1094 4.1094
O 1.9006 4.1094 4.1094
O 4.1094 6.3183 4.1094
O 4.1094 4.1094 6.3183
```



[3]
Structure and computed XRD peak list of Sr4MgFe4O11 (a crystal structure in the Materials Project, relaxed with GGA+U; Cu Kα X-rays).

Main lines, sorted by position (2θ = 15–90°):
d/Å	I_rel
3.064	57.8
3.021	64.5
2.865	79.2
2.832	83.0
2.807	100.0
2.780	90.2
1.998	63.0
1.953	43.1

```
20
Lattice="6.1632 0.0000 0.0000 0.4041 6.7808 0.0000 0.7392 2.5977 6.6083" Properties=species:S:1:pos:R:3 pbc="T T T"
Sr 0.0000 0.0000 0.0000
Sr 1.1772 5.0203 3.3525
Sr 4.2837 7.0646 5.4680
Sr 4.6500 2.4220 2.3221
Mg 2.3645 1.4545 0.9602
Fe 0.4447 3.4139 0.0351
Fe 1.3604 1.6151 3.6424
Fe 4.1837 5.7704 1.9462
Fe 4.3600 3.7108 5.1800
O 0.7427 2.1875 1.6321
O 1.6552 7.3391 5.2683
O 2.5845 6.9962 2.5282
O 2.8664 4.8829 5.7836
O 3.0041 2.5577 4.2233
O 3.0781 4.2602 1.6811
O 3.6711 0.1058 0.2386
O 5.3362 6.6583 3.1804
O 5.7855 5.0468 5.9983
O 5.9838 2.9103 4.2618
O 5.8507 4.7579 1.2135
```



What did the third record say?
........
The article goes on

Yesterday I did section 10 about cosets and the theorem of Lagrange and the first part of section 11, about direct products. I included an example showing that the converse of Lagrange does not hold. You'll find that example in the book: Example 15.6 on page 146.

Next week I'll do the rest of section 11 about finitely generated abelian groups. I'll probably also have time to do section 13 about homomorphism.

Section 12 is not in the curriculum, but at a certain point we shall speak more about the dihedral groups.

Calculated crystals from another source follow >
'''
Record 1
The following is a theoretical powder diffractogram of La2GeAs4Pd3. It was derived from a DFT-relaxed cell (GGA-PBE, Alexandria), using copper Kα.
Kinematic intensities with the Lorentz-polarization factor, no thermal factor.

```
10
Lattice="4.6364 0.0000 0.0000 0.0000 4.6364 0.0000 0.0000 0.0000 9.6189" Properties=species:S:1:pos:R:3 pbc="T T T"
La 0.0000 2.3182 2.3478
La 2.3182 0.0000 7.2711
Ge 0.0000 0.0000 4.8095
As 0.0000 0.0000 0.0000
As 0.0000 2.3182 6.0423
As 2.3182 0.0000 3.5766
As 2.3182 2.3182 0.0000
Pd 0.0000 2.3182 8.5197
Pd 2.3182 0.0000 1.0992
Pd 2.3182 2.3182 4.8095
```

Peak list (6 most intense, 2θ = 15–90°, most intense first)
d 2.709, rel. 100, (1 1 2)
d 2.318, rel. 90, (2 0 0)
d 2.637, rel. 83, (1 0 3)
d 1.741, rel. 47, (2 1 3)
d 1.639, rel. 30, (2 2 0)
d 1.402, rel. 26, (3 1 2)

Record 2
The following is a theoretical powder diffractogram of La2GeAsPd6. It was derived from a DFT-relaxed cell (GGA-PBE, Alexandria), using copper Kα.
Kinematic intensities with the Lorentz-polarization factor, no thermal factor.

```
10
Lattice="5.4941 0.0000 0.0000 2.7330 6.0847 0.0000 2.7405 -0.2879 6.1064" Properties=species:S:1:pos:R:3 pbc="T T T"
La 1.3620 1.3200 1.3567
La 9.6056 4.4769 4.7497
Ge 4.1173 -0.1439 3.0532
As 4.1136 3.0424 0.0000
Pd 2.7341 1.1912 4.6506
Pd 4.1057 2.3279 2.4649
Pd 5.4794 4.6063 1.4539
Pd 5.4882 1.1905 4.6525
Pd 6.8620 3.4690 3.6415
Pd 8.2335 4.6057 1.4558
```

Peak list (6 most intense, 2θ = 15–90°, most intense first)
d 2.332, rel. 100, (2 2 0)
d 2.301, rel. 98, (2 2 2)
d 2.206, rel. 91, (0 2 -2)
d 3.187, rel. 55, (1 1 -1)
d 2.171, rel. 52, (1 -2 0)
d 2.179, rel. 51, (1 0 -2)

Record 3
The following is a theoretical powder diffractogram of La2GeAsPt6. It was derived from a DFT-relaxed cell (GGA-PBE, Alexandria), using copper Kα.
Kinematic intensities with the Lorentz-polarization factor, no thermal factor.

```
20
Lattice="5.5921 0.0000 0.0000 0.0000 8.5493 0.0000 0.0000 0.0000 8.6766" Properties=species:S:1:pos:R:3 pbc="T T T"
La 1.3980 0.0080 2.0046
La 1.3980 4.2666 2.0046
La 4.1941 4.2826 6.6720
La 4.1941 8.5413 6.6720
Ge 1.3980 6.4119 6.6328
Ge 4.1941 2.1373 2.0438
As 1.3980 2.1373 6.6565
As 4.1941 6.4119 2.0201
Pt 0.0068 2.1373 4.2437
Pt 0.0049 6.4119 8.6634
Pt 1.3980 0.0336 5.3270
Pt 1.3980 4.2411 5.3270
Pt 2.7893 2.1373 4.2437
Pt 2.7911 6.4119 8.6634
Pt 2.8010 2.1373 0.0132
Pt 2.8029 6.4119 4.4329
Pt 4.1941 4.3082 3.3496
Pt 4.1941 8.5157 3.3496
Pt 5.5872 2.1373 0.0132
Pt 5.5853 6.4119 4.4329
```

Peak list (6 most intense, 2θ = 15–90°, most intense first)
d 2.340, rel. 100, (2 2 0)
d 3.045, rel. 86, (0 2 2)
d 2.350, rel. 79, (2 0 2)
d 2.137, rel. 59, (0 4 0)
d 2.202, rel. 54, (1 2 3)
d 1.581, rel. 47, (2 4 2)

=====

Structure and simulated X-ray powder pattern of PuGe4Pd6 (a cell relaxed with GGA-PBE; Cu Kα, 1.54184 Å).

Atomic structure:
```
PuGe4Pd6
1.0
7.422 0.000 0.000
-3.711 6.427 0.000
0.000 0.000 3.889
Pu Ge Pd
1 4 6
Direct
0.000 0.000 0.000
0.189 0.378 0.500
0.189 0.811 0.500
'''


Published Feb. 8, 2013 9:55 AM

There where some minor misprints and inaccuracies in Ark2. New version on the web. Exercise 19: b) n must be greater than or equal to 2 Exercise 20: the e should be a 3 Exercise 21: n must be greater than or equal to 3

Exercise 24: The first matrix is not a permutation as it stands! Extra exercise: Why? I have changed it to the one in the book.


Published Feb. 7, 2013 9:52 AM

Yesterday, that is Wednesday feb 6, I proved Cayley's theorem (8.16), but I used most of the time on section 9 (Orbits, cycles and the alternating group) and finished that section.

I introduced the sign of a permutation a little differently than the book, but of course the official curriculum is what stands in the book.

We do exercises on friday.

Next wedensday I'l do section 10 (Cosets and Lagrange's theorem), and if there is time, I ll start on section 11 and do direct products.


Published Feb. 4, 2013 1:18 PM

Ark 3 on the web.


Published Jan. 30, 2013 5:22 PM

NB: About the curriculum: I once said that section 7 (Generating Sets and Cayley Digraphs) was out, but I was a little to quick. What is out is Cayleys Digraphs.

Theorem 7.4 about intersections of subgroups and definition 7.5 about the subgroup generated by a subset are definitely in the curriculum. I spoke about that very early in the course.


Published Jan. 30, 2013 3:28 PM

Today I finished section 6 (cyclic groups) and started on section 8 (groups of permutations). I'l do Cayley's theorem and start on section 9 (Orbits, cycles and the Alternating group) next time. We have many exercises on Friday, so I guess there will no time for theory. In case there is, I ll do Cayley's theorem.


Published Jan. 28, 2013 9:54 AM

On Friday we did the exercises 1, 2 and 3 on Ark1. I spoke bout cyclic group from the beginning of section 6 and ended up In the middle of theorem 6.14 about subgroups of finite cyclic groups.

On Wednesday I'll finish that, and start on section 8, permutations.

Chapter 7 is not part of the curriculum.


Published Jan. 23, 2013 2:46 PM

To day I did section 5 and started on section 6. Friday we shall do exercises, and next Wednesday I 'll continue with section 6 starting with theorem 6.6.

[The entry is interrupted by records of crystals]
- - -
ZrMoBr: calculated powder XRD pattern (CuKα), based on a structure optimized by DFT (GGA-PBE).

a = 3.3639 Å, b = 3.3639 Å, c = 6.6981 Å
α = 90.00°, β = 90.00°, γ = 120.00°
Sites, in units of the cell vectors:
Zr  0.0000  0.0000  0.0000
Mo  0.3333  0.6667  0.7128
Br  0.6667  0.3333  0.3192

Principal peaks in the range 10° ≤ 2θ ≤ 80°, in order of falling intensity:
d_spacing, Rel. int.
2.671, 100
2.198, 56
1.682, 24
1.343, 18
2.233, 16
1.423, 14
1.452, 11
1.336, 11
6.698, 8
1.217, 7

----------

Record 1
Diffraction record for PmBeZn2Au5. The powder X-ray diffraction pattern is theoretical, not measured: it uses the PBE geometry in Alexandria and CuKα.
Neutral-atom scattering factors, no anomalous dispersion.

Cell and atoms:
```
data_PmBeZn2Au5
_chemical_formula_sum 'Pm2 Be2 Zn4 Au10'
_symmetry_space_group_name_H-M 'I m m m'
_symmetry_Int_Tables_number 71
_symmetry_space_group_name_Hall '-I 2 2'
_cell_length_a 4.500
_cell_length_b 6.034
_cell_length_c 13.074
_cell_angle_alpha 90.00
_cell_angle_beta 90.00
_cell_angle_gamma 90.00
loop_
_atom_site_label
_atom_site_fract_x
_atom_site_fract_y
_atom_site_fract_z
_atom_site_occupancy
Pm1 0.000 0.000 0.000 1
Be1 0.000 0.000 0.500 1
Zn1 0.000 0.500 0.198 1
Au1 0.000 0.260 0.362 1
Au2 0.000 0.500 0.000 1
```

Peak list (10 most intense, 2θ = 15–90°, low angle first)
2theta  d [Å]  I/Imax  (hkl)
28.5  3.131  94  1 0 3
36.5  2.461  100  1 2 1
39.9  2.261  30  1 0 5
40.1  2.250  40  2 0 0
40.7  2.217  60  0 2 4
41.6  2.172  18  1 2 3
58.4  1.579  42  2 2 4
62.0  1.498  27  1 2 7
69.1  1.359  15  1 4 3
70.5  1.336  15  3 2 1

=====

Record 2
Diffraction record for PrBe3Au6. The powder X-ray diffraction pattern is theoretical, not measured: it uses the PBE geometry in Alexandria and CuKα.
Neutral-atom scattering factors, no anomalous dispersion.

Cell and atoms:
```
data_PrBe3Au6
_chemical_formula_sum 'Pr3 Be9 Au18'
_symmetry_space_group_name_H-M 'R 3'
_symmetry_Int_Tables_number 146
_symmetry_space_group_name_Hall 'R 3'
_cell_length_a 5.7262
_cell_length_b 5.7262
_cell_length_c 18.4845
_cell_angle_alpha 90.00
_cell_angle_beta 90.00
_cell_angle_gamma 120.00
loop_
_atom_site_label
_atom_site_fract_x
_atom_site_fract_y
_atom_site_fract_z
_atom_site_occupancy
Pr1 0.0000 0.0000 0.0000 1
Be1 0.0000 0.0000 0.3092 1
Be2 0.0000 0.0000 0.6447 1
Be3 0.0000 0.0000 0.8401 1
Au1 0.0007 0.4117 0.8850 1
Au2 0.0024 0.5024 0.0764 1
```

Peak list (10 most intense, 2θ = 15–90°, low angle first)
2theta  d [Å]  I/Imax  (hkl)
26.4  3.381  34  1 0 4
29.0  3.081  61  0 0 6
30.2  2.964  38  0 1 5
31.2  2.863  38  1 1 0
34.5  2.596  58  1 1 3
36.6  2.458  100  0 2 1
37.6  2.395  30  2 0 2
41.3  2.185  33  0 2 4
43.1  2.097  62  2 -1 6
44.0  2.059  50  2 0 5

=====

Record 3
Diffraction record for PrBe2Au6. The powder X-ray diffraction pattern is theoretical, not measured: it uses the PBE geometry in Alexandria and CuKα.
Neutral-atom scattering factors, no anomalous dispersion.

Cell and atoms:
```
data_PrBe2Au6
- - -


Published Jan. 23, 2013 2:44 PM

Two minor missprints on Ark1:

Exercise 9: The binary operation should be associative. Exrecise 25, ii): There should be a 10 and not a 5 in the exponent.

Corrected version is on the web.


Published Jan. 22, 2013 2:18 PM

Ark2 is on the web.


Published Jan. 18, 2013 2:13 PM

Today I looked at the symmetries of a square. Defined a group, showed some of the basic, elementary properties, defined isomorphisms and homomorphisms. Gave a lot of examples of groups. This corresponds to section 4 in the book.

On next wednesday I'll do section 5, subgroups, and may be start on cyclic groups, section 6.

On friday we do the exercises.


Published Jan. 16, 2013 3:12 PM

In todays lecture I spoke about equivalence relations and partitions, congruences mod N, and defined addition and multiplication of congruence classes. This corresponds to the last part of section 0 in the book.

On Friday, I'll do the motivating example (notes are posted) and start on section 4, the definition of groups. I'll mention some of the topics in section 2 and 3, but will not use to much time on it.

Roots of unity wil pop up frequently, so if you are not at ease with that, you should read section 1.


Published Jan. 16, 2013 3:11 PM

I have posted a note about sets and maps. We are going to use sets and maps a lot, so if you are not completely at ease with those concepts, take a look.


Published Jan. 8, 2013 5:33 PM

I have brushed up a small note I made last year about the symmetries of a square, ment as a motivation for the group axioms. I have uploaded a norwegian version - an english version is coming.


Published Jan. 8, 2013 12:23 PM

Welcome to MAT2200 !

To begin with, a few practicalities:

The book we shall use is the following:

Fraleigh, John B.: A first course in abstract algebra, 2003. Addison-Wesley. ISBN: 0-321-15608-0, 7th edition.

We shall only use part of it, chapter VIII is not part of the curriculum. The detailed curriculum you will get as the course proceeds, it depends on what we have time to do.

The exercises I will post on the net in seperate "papers" called Ark - the first one is already there! It covers the first three weeks of the course. I'll try to be a few weeks ahead, so in principle each Ark will cover two or three weeks.

I'll update at least every week on what I plan to do and I really did during the lectures. First week WED 16 and FRI 18 I'll do parts of section 0 (equivalence relations and partition, congruences) and give a introductory example about symmetries of a square. Probably we shall time to do section 2 and 3 and may be start...